The reader should duplicate the whole of the rows underneath character by character.

+++
Computed, not measured: an optimized crystal structure of Na4Sc2SiP2O12 at the PBE level of DFT.

abc: 9.1577 9.1577 22.4259
angles: 90.00 90.00 120.00
Atoms (fractional coordinates):
1 Na 0.6386 0.0036 0.2513
2 Na 0.3614 0.3649 0.2487
3 Na 0.0001 0.6286 0.2500
4 Na 0.6351 0.6386 0.7487
5 Na 0.9964 0.3614 0.7513
6 Na 0.3714 0.9999 0.7500
7 Na 0.3022 0.3291 0.5822
8 Na 0.0377 0.7047 0.5817
9 Na 0.6626 0.9670 0.5862
10 Na 0.2953 0.9623 0.0817
11 Na 0.6709 0.6978 0.0822
12 Na 0.0330 0.3374 0.0862
13 Na 0.9721 0.6712 0.9194
14 Na 0.6946 0.0325 0.9139
15 Na 0.3333 0.2959 0.9167
16 Na 0.9675 0.3054 0.4139
17 Na 0.3288 0.0279 0.4194
18 Na 0.7041 0.6667 0.4167
19 Na 0.0054 0.9966 0.5000
20 Na 0.0034 0.9946 0.0000
21 Na 0.6640 0.3253 0.8334
22 Na 0.6747 0.3360 0.3334
23 Na 0.3253 0.6608 0.1666
24 Na 0.3392 0.6747 0.6666
25 Sc 0.9992 0.0006 0.3499
26 Sc 0.9994 0.0008 0.8499
27 Sc 0.9984 0.9982 0.6502
28 Sc 0.0018 0.0016 0.1502
29 Sc 0.6629 0.3233 0.6834
30 Sc 0.6767 0.3371 0.1834
31 Sc 0.6674 0.3351 0.9836
32 Sc 0.6649 0.3326 0.4836
33 Sc 0.3266 0.6697 0.0166
34 Sc 0.3303 0.6734 0.5166
35 Sc 0.3229 0.6601 0.3167
36 Sc 0.3399 0.6771 0.8167
37 Si 0.0000 0.2965 0.2500
38 Si 0.7035 0.0000 0.7500
39 Si 0.3670 0.0345 0.5828
40 Si 0.9655 0.6330 0.0828
41 Si 0.3334 0.9684 0.9167
42 Si 0.0316 0.6666 0.4167
43 P 0.2974 0.0014 0.2500
44 P 0.7028 0.7044 0.2500
45 P 0.2956 0.2972 0.7500
46 P 0.9986 0.7026 0.7500
47 P 0.9634 0.3335 0.5834
48 P 0.6661 0.6275 0.5838
49 P 0.6665 0.0366 0.0834
50 P 0.3725 0.3339 0.0838
51 P 0.6273 0.6655 0.9170
52 P 0.0392 0.3716 0.9162
53 P 0.6284 0.9608 0.4162
54 P 0.3345 0.3727 0.4170
55 O 0.2122 0.0272 0.3056
56 O 0.8160 0.7855 0.3055
57 O 0.9688 0.1777 0.3087
58 O 0.2145 0.1840 0.8055
59 O 0.9728 0.7878 0.8056
60 O 0.8223 0.0312 0.8087
61 O 0.7912 0.9689 0.6913
62 O 0.1849 0.2122 0.6943
63 O 0.0306 0.8159 0.6945
64 O 0.7878 0.8151 0.1943
65 O 0.0311 0.2088 0.1913
66 O 0.1841 0.9694 0.1945
67 O 0.8825 0.3654 0.6388
68 O 0.4873 0.1229 0.6413
69 O 0.6411 0.5185 0.6396
70 O 0.8771 0.5127 0.1413
71 O 0.6346 0.1175 0.1388
72 O 0.4815 0.3589 0.1396
73 O 0.4546 0.3044 0.0279
74 O 0.8454 0.5448 0.0244
75 O 0.6940 0.1483 0.0279
76 O 0.4552 0.1546 0.5244
77 O 0.6956 0.5454 0.5279
78 O 0.8517 0.3060 0.5279
79 O 0.5444 0.6924 0.9728
80 O 0.1506 0.4534 0.9719
81 O 0.3008 0.8469 0.9750
82 O 0.5466 0.8494 0.4719
83 O 0.3076 0.4556 0.4728
84 O 0.1531 0.6992 0.4750
85 O 0.1204 0.6340 0.3585
86 O 0.5187 0.8777 0.3605
87 O 0.3638 0.4839 0.3613
88 O 0.1223 0.4813 0.8605
89 O 0.3660 0.8796 0.8585
90 O 0.5161 0.6362 0.8613
91 O 0.0169 0.8383 0.4124
92 O 0.8067 0.9793 0.4121
93 O 0.1738 0.1955 0.4115
94 O 0.0207 0.1933 0.9121
95 O 0.1617 0.9831 0.9124
96 O 0.8045 0.8262 0.9115
97 O 0.9775 0.1716 0.5886
98 O 0.1794 0.0170 0.5874
99 O 0.8263 0.8057 0.5878
100 O 0.9830 0.8206 0.0874
101 O 0.8284 0.0225 0.0886
102 O 0.1943 0.1737 0.0878
103 O 0.6884 0.1724 0.7470
104 O 0.4748 0.3187 0.7448
105 O 0.8363 0.5281 0.7445
106 O 0.6813 0.5252 0.2448
107 O 0.8276 0.3116 0.2470
108 O 0.4719 0.1637 0.2445
109 O 0.6460 0.5059 0.9211
110 O 0.8621 0.3551 0.9218
111 O 0.5052 0.1548 0.9210
112 O 0.6449 0.1379 0.4218
113 O 0.4941 0.3540 0.4211
114 O 0.8452 0.4948 0.4210
115 O 0.3577 0.4949 0.0779
116 O 0.1517 0.6451 0.0802
117 O 0.5095 0.8574 0.0781
118 O 0.3549 0.8483 0.5802
119 O 0.5051 0.6423 0.5779
120 O 0.1426 0.4905 0.5781
121 O 0.3189 0.8439 0.2552
122 O 0.5282 0.6918 0.2555
123 O 0.1724 0.4840 0.2530
124 O 0.3082 0.4718 0.7555
125 O 0.1561 0.6811 0.7552
126 O 0.5160 0.8276 0.7530

Calculated values
**Formation energy from the elements**: -3.040 eV/atom
**SG**: No. 9

* * * * *

# 1
PrDy3: relaxed, GGA-PBE.

The space group is I4/mmm (No. 139) and the conventional cell measures 5.084, 5.084 and 10.101 Å, with angles of 90.00, 90.00 and 90.00 degrees. The asymmetric unit holds Pr at (0.000, 0.000, 0.000), Dy at (0.000, 0.000, 0.500) and Dy at (0.000, 0.500, 0.250).

Its polymorph energy (0 for the lowest one) is 6 meV per atom.

# 2
+++

Computed, not measured: an optimized crystal structure of Na4Sc2SiP2O12 at the PBE level of DFT.

abc: 9.1577 9.1577 22.4259
angles: 90.00 90.00 120.00
Atoms (fractional coordinates):
1 Na 0.6386 0.0036 0.2513
2 Na 0.3614 0.3649 0.2487
3 Na 0.0001 0.6286 0.2500
4 Na 0.6351 0.6386 0.7487
5 Na 0.9964 0.3614 0.7513
6 Na 0.3714 0.9999 0.7500
7 Na 0.3022 0.3291 0.5822
8 Na 0.0377 0.7047 0.5817
9 Na 0.6626 0.9670 0.5862
10 Na 0.2953 0.9623 0.0817
11 Na 0.6709 0.6978 0.0822
12 Na 0.0330 0.3374 0.0862
13 Na 0.9721 0.6712 0.9194
14 Na 0.6946 0.0325 0.9139
15 Na 0.3333 0.2959 0.9167
16 Na 0.9675 0.3054 0.4139
17 Na 0.3288 0.0279 0.4194
18 Na 0.7041 0.6667 0.4167
19 Na 0.0054 0.9966 0.5000
20 Na 0.0034 0.9946 0.0000
21 Na 0.6640 0.3253 0.8334
22 Na 0.6747 0.3360 0.3334
23 Na 0.3253 0.6608 0.1666
24 Na 0.3392 0.6747 0.6666
25 Sc 0.9992 0.0006 0.3499
26 Sc 0.9994 0.0008 0.8499
27 Sc 0.9984 0.9982 0.6502
28 Sc 0.0018 0.0016 0.1502
29 Sc 0.6629 0.3233 0.6834
30 Sc 0.6767 0.3371 0.1834
31 Sc 0.6674 0.3351 0.9836
32 Sc 0.6649 0.3326 0.4836
33 Sc 0.3266 0.6697 0.0166
34 Sc 0.3303 0.6734 0.5166
35 Sc 0.3229 0.6601 0.3167
36 Sc 0.3399 0.6771 0.8167
37 Si 0.0000 0.2965 0.2500
38 Si 0.7035 0.0000 0.7500
39 Si 0.3670 0.0345 0.5828
40 Si 0.9655 0.6330 0.0828
41 Si 0.3334 0.9684 0.9167
42 Si 0.0316 0.6666 0.4167
43 P 0.2974 0.0014 0.2500
44 P 0.7028 0.7044 0.2500
45 P 0.2956 0.2972 0.7500
46 P 0.9986 0.7026 0.7500
47 P 0.9634 0.3335 0.5834
48 P 0.6661 0.6275 0.5838
49 P 0.6665 0.0366 0.0834
50 P 0.3725 0.3339 0.0838
51 P 0.6273 0.6655 0.9170
52 P 0.0392 0.3716 0.9162
53 P 0.6284 0.9608 0.4162
54 P 0.3345 0.3727 0.4170
55 O 0.2122 0.0272 0.3056
56 O 0.8160 0.7855 0.3055
57 O 0.9688 0.1777 0.3087
58 O 0.2145 0.1840 0.8055
59 O 0.9728 0.7878 0.8056
60 O 0.8223 0.0312 0.8087
61 O 0.7912 0.9689 0.6913
62 O 0.1849 0.2122 0.6943
63 O 0.0306 0.8159 0.6945
64 O 0.7878 0.8151 0.1943
65 O 0.0311 0.2088 0.1913
66 O 0.1841 0.9694 0.1945
67 O 0.8825 0.3654 0.6388
68 O 0.4873 0.1229 0.6413
69 O 0.6411 0.5185 0.6396
70 O 0.8771 0.5127 0.1413
71 O 0.6346 0.1175 0.1388
72 O 0.4815 0.3589 0.1396
73 O 0.4546 0.3044 0.0279
74 O 0.8454 0.5448 0.0244
75 O 0.6940 0.1483 0.0279
76 O 0.4552 0.1546 0.5244
77 O 0.6956 0.5454 0.5279
78 O 0.8517 0.3060 0.5279
79 O 0.5444 0.6924 0.9728
80 O 0.1506 0.4534 0.9719
81 O 0.3008 0.8469 0.9750
82 O 0.5466 0.8494 0.4719
83 O 0.3076 0.4556 0.4728
84 O 0.1531 0.6992 0.4750
85 O 0.1204 0.6340 0.3585
86 O 0.5187 0.8777 0.3605
87 O 0.3638 0.4839 0.3613
88 O 0.1223 0.4813 0.8605
89 O 0.3660 0.8796 0.8585
90 O 0.5161 0.6362 0.8613
91 O 0.0169 0.8383 0.4124
92 O 0.8067 0.9793 0.4121
93 O 0.1738 0.1955 0.4115
94 O 0.0207 0.1933 0.9121
95 O 0.1617 0.9831 0.9124
96 O 0.8045 0.8262 0.9115
97 O 0.9775 0.1716 0.5886
98 O 0.1794 0.0170 0.5874
99 O 0.8263 0.8057 0.5878
100 O 0.9830 0.8206 0.0874
101 O 0.8284 0.0225 0.0886
102 O 0.1943 0.1737 0.0878
103 O 0.6884 0.1724 0.7470
104 O 0.4748 0.3187 0.7448
105 O 0.8363 0.5281 0.7445
106 O 0.6813 0.5252 0.2448
107 O 0.8276 0.3116 0.2470
108 O 0.4719 0.1637 0.2445
109 O 0.6460 0.5059 0.9211
110 O 0.8621 0.3551 0.9218
111 O 0.5052 0.1548 0.9210
112 O 0.6449 0.1379 0.4218
113 O 0.4941 0.3540 0.4211
114 O 0.8452 0.4948 0.4210
115 O 0.3577 0.4949 0.0779
116 O 0.1517 0.6451 0.0802
117 O 0.5095 0.8574 0.0781
118 O 0.3549 0.8483 0.5802
119 O 0.5051 0.6423 0.5779
120 O 0.1426 0.4905 0.5781
121 O 0.3189 0.8439 0.2552
122 O 0.5282 0.6918 0.2555
123 O 0.1724 0.4840 0.2530
124 O 0.3082 0.4718 0.7555
125 O 0.1561 0.6811 0.7552
126 O 0.5160 0.8276 0.7530

Calculated values
**Formation energy from the elements**: -3.040 eV/atom
**SG**: No. 9

* * * * *

# 1
PrDy3: relaxed, GGA-PBE.

The space group is I4/mmm (No. 139) and the conventional cell measures 5.084, 5.084 and 10.101 Å, with angles of 90.00, 90.00 and 90.00 degrees. The asymmetric unit holds Pr at (0.000, 0.000, 0.000), Dy at (0.000, 0.000, 0.500) and Dy at (0.000, 0.500, 0.250).

Its polymorph energy (0 for the lowest one) is 6 meV per atom.

# 2